Work order:
Print only the lines below with the word "group" in them.
Excerpt:
/*
(1)
First-principles (PBE) data for a relaxed structure of SmDy12Tl6, as listed in Alexandria via LeMat-Bulk.

Cell: 8.9029 8.9029 8.9029 Å, 103.63 103.63 103.63°
Closest atoms and distances in Å follow each position.
Sites, in units of the cell vectors:
Tl 0.7606 0.3071 0.7606  7 Dy 3.00-3.21
Tl 0.2394 0.2394 0.6929  7 Dy 3.00-3.21
Tl 0.3071 0.7606 0.7606  7 Dy 3.00-3.21
Tl 0.2394 0.6929 0.2394  7 Dy 3.00-3.21
Tl 0.7606 0.7606 0.3071  7 Dy 3.00-3.21
Tl 0.6929 0.2394 0.2394  7 Dy 3.00-3.21
Dy 0.1277 0.5000 0.8723  4 Tl 3.00-3.10
Dy 0.5531 0.5531 0.8190  3 Tl 3.20-3.21
Dy 0.1810 0.4469 0.4469  3 Tl 3.20-3.21
Dy 0.5000 0.1277 0.8723  4 Tl 3.00-3.10
Dy 0.8723 0.5000 0.1277  4 Tl 3.00-3.10
Dy 0.4469 0.4469 0.1810  3 Tl 3.20-3.21
Dy 0.8723 0.1277 0.5000  4 Tl 3.00-3.10
Dy 0.5000 0.8723 0.1277  4 Tl 3.00-3.10
Dy 0.1277 0.8723 0.5000  4 Tl 3.00-3.10
Dy 0.4469 0.1810 0.4469  3 Tl 3.20-3.21
Dy 0.8190 0.5531 0.5531  3 Tl 3.20-3.21
Dy 0.5531 0.8190 0.5531  3 Tl 3.20-3.21
Sm 0.0000 0.0000 0.0000  6 Tl 4.46, 18 Dy 4.56-4.80

Its space group is R-3m, No. 166. As for the energy: -3.895 eV/atom. The value obtained for the formation energy is 0.01 eV/atom. The calculation puts the theoretical density at 8.71 Mg/m³.


(2)
First-principles (PBE) data for a relaxed structure of Tm4CdPt2, as listed in Alexandria via LeMat-Bulk.

Cell: 4.6568 4.6568 10.0391 Å, 76.59 76.59 60.00°
Closest atoms and distances in Å follow each position.
Sites, in units of the cell vectors:
Pt 0.5995 0.5995 0.2014  7 Tm 2.85-2.96, 1 Cd 2.89
Pt 0.4005 0.4005 0.7986  7 Tm 2.85-2.96, 1 Cd 2.89
Cd 0.5000 0.5000 0.5000  2 Pt 2.89, 6 Tm 3.15
Tm 0.7013 0.7013 0.8962  4 Pt 2.85-2.95
Tm 0.2987 0.2987 0.1038  4 Pt 2.85-2.95
Tm 0.8901 0.8901 0.3298  3 Pt 2.96, 3 Cd 3.15
Tm 0.1099 0.1099 0.6702  3 Pt 2.96, 3 Cd 3.15

Its space group is R-3m, No. 166. The value obtained for the distance to the lowest polymorph of the same formula is 68 meV per atom. As for the energy: -5.184 eV/atom. The value obtained for the formation energy is -0.77 eV/atom. The calculation puts the theoretical density at 10.77 Mg/m³.


(3)
First-principles (PBE) data for a relaxed structure of CaTh3Zn4, as listed in Alexandria via LeMat-Bulk.

Cell: 3.6079 5.2004 10.5013 Å, 90.00 90.00 90.00°
Closest atoms and distances in Å follow each position.
Sites, in units of the cell vectors:
Zn 0.0000 0.0000 0.5000  8 Th 3.16-3.18
Zn 0.0000 0.5000 0.7529  2 Ca 3.16, 6 Th 3.16-3.21
Zn 0.0000 0.5000 0.2471  2 Ca 3.16, 6 Th 3.16-3.21
Zn 0.0000 0.0000 0.0000  4 Ca 3.16, 4 Th 3.19
Th 0.5000 0.0000 0.7499  8 Zn 3.16-3.19
Th 0.5000 0.5000 0.5000  8 Zn 3.16-3.21
Th 0.5000 0.0000 0.2501  8 Zn 3.16-3.19
Ca 0.5000 0.5000 0.0000  8 Zn 3.16

Its space group is Pmmm, No. 47. As for the energy: -3.843 eV/atom. The value obtained for the formation energy is -0.17 eV/atom. The calculation puts the theoretical density at 8.41 Mg/m³.


(4)
First-principles (PBE) data for a relaxed structure of ErTeO4, as listed in Alexandria via LeMat-Bulk.

Cell: 4.9740 5.3776 12.7530 Å, 90.04 90.02 90.00°
Closest atoms and distances in Å follow each position.
Sites, in units of the cell vectors:
O 0.2777 0.5925 0.1903  1 Te 1.99
O 0.7226 0.9078 0.1904  1 Te 1.99
O 0.7781 0.4086 0.3095  1 Te 1.99
O 0.7789 0.9003 0.4571  2 Te 2.01-2.23, 1 Er 2.24
O 0.2614 0.5333 0.9371  1 Te 1.93
O 0.7614 0.4663 0.5632  1 Te 1.93
O 0.7044 0.4136 0.8182  1 Te 1.93
O 0.7209 0.4030 0.0431  2 Te 2.02-2.21, 1 Er 2.25
O 0.2230 0.0933 0.3098  1 Te 1.99
O 0.2206 0.5958 0.4569  2 Te 2.02-2.21, 1 Er 2.25
O 0.2046 0.5866 0.6818  1 Te 1.93
O 0.2792 0.0984 0.0430  2 Te 2.01-2.22, 1 Er 2.25
O 0.2388 0.0322 0.5624  1 Te 1.93
O 0.7388 0.9674 0.9373  1 Te 1.93
O 0.2954 0.0864 0.8182  1 Te 1.93
O 0.7955 0.9138 0.6819  1 Te 1.93
Er 0.9998 0.7500 0.8295  6 O 2.22-2.34
Er 0.0001 0.2502 0.1659  6 O 2.25-2.32
Er 0.4998 0.7502 0.3341  6 O 2.24-2.32
Er 0.4996 0.2497 0.6705  6 O 2.22-2.34
Te 0.9995 0.7497 0.5729  6 O 1.93-2.02
Te 0.5001 0.7501 0.0792  4 O 1.99-2.22
*/
Here it is:
Its space group is R-3m, No. 166. As for the energy: -3.895 eV/atom. The value obtained for the formation energy is 0.01 eV/atom. The calculation puts the theoretical density at 8.71 Mg/m³.
Its space group is R-3m, No. 166. The value obtained for the distance to the lowest polymorph of the same formula is 68 meV per atom. As for the energy: -5.184 eV/atom. The value obtained for the formation energy is -0.77 eV/atom. The calculation puts the theoretical density at 10.77 Mg/m³.
Its space group is Pmmm, No. 47. As for the energy: -3.843 eV/atom. The value obtained for the formation energy is -0.17 eV/atom. The calculation puts the theoretical density at 8.41 Mg/m³.